Did I tell you that my hubby He Who Must Not Be Named (HWMNBN) did not come with us to Japan? Poor guy...he's at home working hard to support our adventures.
Anyways, I am going to post a lot of pics everyday to keep him (and you) informed about what we're up to. This is a really long post but if you like my weirdo kids and/or are interested in Japan...read on!
Today we were out ALL DAY walking around two of our favorite areas in
Tokyo called
Harajuku (of Gwen Stefani fame) and
We started off on the
kyuko (express train) which was not crowded at all and only took about 35 minutes

- - -
# BaHfS3 r2SCAN optimized geometry
data_BaHfS3
_chemical_formula_sum 'Ba4 Hf4 S12'
_cell_length_a 7.045
_cell_length_b 9.976
_cell_length_c 7.019
_cell_angle_alpha 90.00
_cell_angle_beta 90.00
_cell_angle_gamma 90.00
_symmetry_space_group_name_H-M 'P n m a'
_symmetry_Int_Tables_number 62
_symmetry_space_group_name_Hall '-P 2ac 2n'
loop_
_atom_site_label
_atom_site_fract_x
_atom_site_fract_y
_atom_site_fract_z
Ba1 0.037 0.250 0.007
Hf1 0.000 0.000 0.500
S1 0.002 0.750 0.447
S2 0.216 0.528 0.784
# - magnetic moment (μB/f.u.) = 0.000
# - E_form (eV per atom) = -2.10

----------

# 1
{"formula": "GaCuTeSe", "functional": "PBE-GGA", "state": "optimized geometry", "lattice_angstrom": [[-2.942, 2.949, 5.831], [2.942, -2.949, 5.831], [2.942, 2.949, -5.831]], "species": ["Ga", "Ga", "Cu", "Cu", "Te", "Te", "Se", "Se"], "fractional_positions": [[0.134, 0.884, 0.250], [0.366, 0.616, 0.750], [0.634, 0.384, 0.250], [0.866, 0.116, 0.750], [0.250, 0.487, 0.237], [0.750, 0.013, 0.263], [0.506, 0.250, 0.756], [0.994, 0.750, 0.744]], "sg": "I2_12_12_1", "magmom_total_mub_per_atom": 0.000, "vol_a3_per_atom": 25.30}

# 2
{"formula": "CsPO3", "functional": "PBE-GGA", "state": "optimized geometry", "lattice_angstrom": [[-0.039, -3.337, -3.201], [1.853, -4.348, 4.511], [-13.276, -2.637, 2.911]], "species": ["Cs", "Cs", "Cs", "Cs", "P", "P", "P", "P", "O", "O", "O", "O", "O", "O", "O", "O", "O", "O", "O", "O"], "fractional_positions": [[0.233, 0.250, 0.597], [0.767, 0.750, 0.403], [0.267, 0.750, 0.097], [0.733, 0.250, 0.903], [0.309, 0.250, 0.321], [0.691, 0.750, 0.679], [0.191, 0.750, 0.821], [0.809, 0.250, 0.179], [0.261, 0.053, 0.374], [0.739, 0.947, 0.626], [0.239, 0.947, 0.874], [0.739, 0.553, 0.626], [0.761, 0.053, 0.126], [0.261, 0.447, 0.374], [0.761, 0.447, 0.126], [0.239, 0.553, 0.874], [0.143, 0.250, 0.218], [0.857, 0.750, 0.782], [0.357, 0.750, 0.718], [0.643, 0.250, 0.282]], "sg": "Pnma", "vol_a3_per_atom": 20.91}

# 3
{"formula": "K2ZnSe2O10", "functional": "PBE-GGA", "state": "optimized geometry", "lattice_angstrom": [[-4.297, 0.510, -3.341], [1.847, -6.586, -0.203], [-4.121, 1.478, 6.276]], "species": ["K", "K", "Zn", "Se", "Se", "O", "O", "O", "O", "O", "O", "O", "O", "O", "O"], "fractional_positions": [[0.292, 0.690, 0.272], [0.708, 0.310, 0.728], [0.000, 0.000, 0.000], [0.364, 0.699, 0.775], [0.636, 0.301, 0.225], [0.401, 0.876, 0.668], [0.599, 0.124, 0.332], [0.263, 0.436, 0.625], [0.737, 0.564, 0.375], [0.641, 0.744, 0.918], [0.359, 0.256, 0.082], [0.141, 0.729, 0.921], [0.859, 0.271, 0.079], [0.025, 0.006, 0.256], [0.975, 0.994, 0.744]], "sg": "P-1", "magmom_total_mub_per_atom": 0.267, "vol_a3_per_atom": 16.83}

# 4
- - -
**End of the records of crystals:**

We got off the train at
Omotesando in Harajuku. The street is really gorgeous and has TONS of designer stores.
It's actually called the
Champs Elysees of Japan.

One of our favorite stores on
Omotesando is Kiddy Land, where you can find every weird gizmo, gadget and toy you could imagine.
Mango and my brother liked the electronic gadgets...

While Momo was obsessed with the stuffed animals.
These are her people...see how they are all stunned by her presence!

After Momo bid her farewells to the stuffed population at Kiddy Land, we visited a few more stores then hit the road for some more walking.

When we got hungry we stopped into this little "go-around" sushi shop where you sit at a table and watch sushi come around on a conveyer belt.

You pick whatever you want and at the end you are charged by the number of plates you have. Momo and Mango had a field day...
I think we ended up with like 20 plates!

Then, with our stomachs full, we set off to
The walk was about 20 minutes and the hot Japanese sun was beating down on us all the way.

I think the heat made Momo a little loopy...

You know how she gets a little "weird"?
Well, she got real weird...
And we had to take a break for a minute so she could compose herself...

Mango had a sip of Japanese soda while he watched Momo weird out on us...

Momo never did fully recover... but we kept on trekking.
We're used to her weirdness and weren't the least bit suprised when she bought a big pink bow and proceeded to swagger down the streets of
Shibuya like the gangsta she is...

To top of her look she bought some crazy 80's sunglasses ...
They actually were quite cute!

Mango had to get in on the action and he "mango-fied" his look with some aviator glasses

A little more walking...and stopping...and talking...and shopping...

~~~
(1)
A relaxed Cs2PH5O6 crystal, computed with GGA-PBE.

Calculated values
As for the calculated formation energy: -1.907 eV per atom. The total energy comes out at -305.8 eV for the cell shown.

Cell lengths 7.7962, 14.2302, 8.3429 Å; angles 90.00, 119.78, 90.00 degrees
Element x y z (fractional)
Cs1 0.2399 0.2332 0.2432
Cs2 0.2399 0.2668 0.7432
Cs3 0.2497 0.5850 0.7559
Cs4 0.2497 0.9150 0.2559
Cs5 0.7503 0.0850 0.7441
Cs6 0.7503 0.4150 0.2441
Cs7 0.7601 0.7332 0.2568
Cs8 0.7601 0.7668 0.7568
P1 0.2455 0.6440 0.2370
P2 0.2455 0.8560 0.7370
P3 0.7545 0.1440 0.2630
P4 0.7545 0.3560 0.7630
H1 0.1417 0.0799 0.4504
H2 0.1417 0.4201 0.9504
H3 0.1909 0.0213 0.8794
H4 0.1909 0.4787 0.3794
H5 0.2750 0.7320 0.4784
H6 0.2750 0.7680 0.9784
H7 0.3138 0.0235 0.6209
H8 0.3138 0.4765 0.1209
H9 0.3615 0.0778 0.0514
H10 0.3615 0.4222 0.5514
H11 0.6385 0.5778 0.4486
H12 0.6385 0.9222 0.9486
H13 0.6862 0.5235 0.8791
H14 0.6862 0.9765 0.3791
H15 0.7250 0.2320 0.0216
H16 0.7250 0.2680 0.5216
H17 0.8091 0.5213 0.6206
H18 0.8091 0.9787 0.1206
H19 0.8583 0.5799 0.0496
H20 0.8583 0.9201 0.5496
O1 0.0853 0.5848 0.2470
O2 0.0853 0.9152 0.7470
O3 0.1572 0.7159 0.0770
O4 0.1572 0.7841 0.5770
O5 0.2188 0.0795 0.9551
O6 0.2188 0.4205 0.4551
O7 0.2849 0.0824 0.5470
O8 0.2849 0.4176 0.0470
O9 0.3599 0.7040 0.4300
O10 0.3599 0.7960 0.9300
O11 0.4106 0.5845 0.2377
O12 0.4106 0.9155 0.7377
O13 0.5894 0.0845 0.2623
O14 0.5894 0.4155 0.7623
O15 0.6401 0.2040 0.0700
O16 0.6401 0.2960 0.5700
O17 0.7151 0.5824 0.9530
O18 0.7151 0.9176 0.4530
O19 0.7812 0.5795 0.5449
O20 0.7812 0.9205 0.0449
O21 0.8428 0.2159 0.4230
O22 0.8428 0.2841 0.9230
O23 0.9147 0.0848 0.2530
O24 0.9147 0.4152 0.7530



(2)
A relaxed TbHg2 crystal, computed with GGA-PBE.

Calculated values
As for the calculated formation energy: -0.390 eV per atom. The total energy comes out at -6.4 eV for the cell shown.

Cell lengths 4.9704, 4.9704, 3.4675 Å; angles 90.00, 90.00, 120.00 degrees
Element x y z (fractional)
Tb1 0.0000 0.0000 0.0000
Hg1 0.3333 0.6667 0.5148
Hg2 0.6667 0.3333 0.4852



(3)
A relaxed MgZnO2 crystal, computed with GGA-PBE.

Calculated values
As for the calculated formation energy: -2.352 eV per atom. The total energy comes out at -20.8 eV for the cell shown. The energy relative to the lowest polymorph listed for this composition is 40 meV per atom.

Cell lengths 5.2493, 5.2493, 5.2493 Å; angles 33.70, 33.70, 33.70 degrees
Element x y z (fractional)
Mg1 0.0000 0.0000 0.0000
Zn1 0.5000 0.5000 0.5000
O1 0.2529 0.2529 0.2529
O2 0.7471 0.7471 0.7471



(4)
A relaxed Ba4Y2Cu5PdO14 crystal, computed with GGA-PBE.

Calculated values
As for the calculated formation energy: -2.166 eV per atom. The total energy comes out at -162.2 eV for the cell shown. The energy relative to the lowest polymorph listed for this composition is 2 meV per atom.

Cell lengths 12.5488, 12.5225, 5.5159 Å; angles 77.56, 77.02, 25.42 degrees
Element x y z (fractional)
Ba1 0.0922 0.0922 0.4078
Ba2 0.4078 0.4078 0.0922
~~~
**Back to the text**

Then we ended up in a game center where Mango tried diligently to win a prize but came out empty handed.

Momo on the other hand scored a really cool stuffed animal and a huge tin of candy thanks to some "skills" she learned from HWMNBM.
"You have to tip it in mom, that's what dad taught me"
And she was right... She won...The game center people even came out to congratulate her for winning. Seems as though they have made it a lot harder to win lately and they were surprised that this little girl could win...twice!

After the game center we walked and shopped for a few more hours then we headed back to the train station.
Unfortunately for us, it was rush hour and we had to go through the "most crowded crosswalk in the world" literally, it is the most crowded crosswalk you will ever see...

The train was PACKED and I couldn't snap a shot hold on to Momo and secure a spot all at the same time but I will try to get a busy train pic at some point.
By the time we stopped at the grocery store to buy stuff for dinner Mango was tired
and Momo was done...

Data records that have nothing to do with the entry
+++
Run i
A relaxed MgFe10O9F11 crystal. Source: the Materials Project database, functional GGA+U.

```
31
Lattice="-3.994 -2.677 1.214 1.495 -2.850 -3.686 8.520 -8.471 9.518" Properties=species:S:1:pos:R:3 pbc="T T T"
Fe 6.477 -10.456 7.412
Fe 2.871 -6.758 3.601
Fe 6.453 -7.930 2.053
Fe 1.494 -2.869 -3.657
Fe 5.599 -7.940 5.040
Fe 0.869 -8.829 1.465
Fe 3.163 -4.536 -1.723
Fe -0.415 -3.630 -0.241
Fe 1.240 -5.243 1.664
Fe 6.854 -7.129 7.687
O 2.530 -4.920 3.181
O 6.678 -8.875 3.838
O 5.824 -8.683 6.983
O 0.910 -3.343 1.238
O -1.705 -3.912 -1.730
O -0.778 -1.705 -0.636
O -0.062 -5.556 0.226
O 1.656 -7.185 2.152
O 4.007 -6.773 5.132
F 3.784 -9.154 3.761
F 4.604 -6.811 2.168
F 2.900 -9.011 6.758
F 2.994 -5.276 0.191
F 4.820 -10.636 8.810
F 1.329 -3.659 -1.732
F -2.126 -3.613 1.300
F 1.168 -6.905 4.975
F -0.471 -5.231 3.231
F 8.164 -10.479 6.049
F 5.442 -10.952 5.571
Mg 4.002 -7.547 7.257
```

## Properties
symmetry	P1
volume	369.3	Å³/cell
magnetization	47.000	μB/f.u.

Run ii
A relaxed MgFe10O9F11 crystal. Source: the Materials Project database, functional GGA+U.

```
31
Lattice="-2.769 2.191 3.449 -3.699 -2.129 -2.391 1.310 -12.525 9.039" Properties=species:S:1:pos:R:3 pbc="T T T"
O -3.938 -4.950 4.369
O -1.619 -2.536 2.158
O -1.339 -4.935 3.903
O -1.131 -10.057 7.538
O -1.287 -7.466 5.597
O -1.819 -0.193 0.356
O -4.213 -2.504 2.588
O -4.506 -0.024 0.891
O -2.900 -10.084 5.256
F -2.613 -12.555 6.900
F -1.952 -7.549 8.578
F -2.854 -7.441 3.249
F -3.056 -5.097 1.439
F -1.547 -9.845 10.431
F -3.589 -9.847 8.011
F -3.756 -7.421 6.257
F -3.350 -2.642 -0.312
F -2.488 -2.402 5.096
F -2.221 -4.868 6.785
F -2.708 0.030 3.289
Mg -0.471 -8.882 8.954
Fe 0.694 -7.473 5.563
Fe -5.859 -4.986 4.705
Fe -2.465 -6.053 4.984
Fe 0.838 -9.964 7.230
Fe -1.992 -11.474 8.742
Fe -6.155 -2.491 2.901
Fe -6.417 -0.015 1.127
Fe -2.238 -8.820 6.489
Fe -2.796 -3.719 3.217
Fe -3.048 -1.285 1.498
```

## Properties
symmetry	P1
volume	372.0	Å³/cell
magnetization	47.004	μB/f.u.

Stability check: which of them is most stable? run i.

Run i
A relaxed MgFe12O12F12 crystal. Source: the Materials Project database, functional GGA+U.

```
37
Lattice="-4.856 -0.006 8.534 7.696 -11.246 5.032 2.108 1.980 1.201" Properties=species:S:1:pos:R:3 pbc="T T T"
Fe 3.493 -4.054 4.635
Fe 2.459 -7.544 8.122
Fe -2.546 -0.042 4.538
Fe -2.418 -3.545 10.090
Fe 1.280 -4.436 9.148
Fe 0.290 -7.342 11.596
Fe 3.927 -8.468 11.151
Fe 0.272 -3.846 5.864
Fe 6.829 -9.360 7.526
Fe -1.384 -0.709 7.681
Fe 1.170 -0.826 3.390
Fe -4.748 -0.163 8.604
F 2.954 -6.804 6.032
F 0.109 -6.160 9.965
F 4.856 -8.202 4.999
F 0.300 -2.053 6.940
F 4.611 -7.289 8.006
F -2.202 -2.680 8.284
F 2.296 -7.240 11.988
F 0.167 -2.666 4.102
F -0.242 -3.389 10.094
F 5.024 -5.596 4.489
F 2.760 -10.077 11.771
F -0.326 0.075 4.531
O -2.283 -1.252 6.072
O 7.929 -9.618 6.021
O -2.751 0.149 8.667
O 2.682 -5.759 8.870
O -0.013 -1.135 1.894
O 2.216 -3.485 5.938
O 2.711 -4.762 3.092
O 5.241 -10.342 7.852
O 5.334 -9.655 10.638
O 2.655 -1.974 2.675
+++

I don't blame her though because we walked a lot today...
13,091 steps to be exact!